Data:
____________
The following is a quantum chemistry calculation of a cluster of 2 separate species, C25H37BBrClF8IN5O7S in total, from the Open Molecules 2025 dataset.

Results
LUMO = -0.014 Eh
Structure (SMILES) = C[C@@H](I)C[C@@](Br)(O[C@H](c1ccncc1)S(=O)(=O)C(F)(F)C(F)(F)F)[C@](CCC(N)=O)(B(O)N(C)C)N(Cl)CCCN.CCOC(=O)C(F)(F)F
DFT total energy = -172222.99162 eV
2S+1 = 1
Strongest force on any atom = 2.1 eV/Å

XYZ file:
```
87
Properties=species:S:1:pos:R:3:lowdin_charge:R:1
C 4.95355 -0.90124 1.63297 -0.179
C 3.73983 -0.97549 0.68174 -0.674
I 4.27747 -2.47473 -0.82708 0.887
C 2.44127 -1.50788 1.33480 -0.340
C 1.41836 -0.42827 1.75472 -0.584
Br 2.25501 0.25079 3.44874 0.980
O 1.31416 0.55491 0.73364 -0.128
C 1.79153 1.85689 0.92257 -0.331
C 0.96860 2.79239 1.76343 -0.237
C -0.36575 3.02333 1.59529 -0.036
C -1.07491 3.85884 2.41118 -0.107
N -0.49460 4.52499 3.39934 0.093
C 0.80491 4.32120 3.52925 -0.139
C 1.57824 3.48351 2.78518 -0.049
S 1.73691 2.63645 -0.76244 0.793
O 2.41622 3.88767 -0.66229 -0.240
O 0.40162 2.74929 -1.25662 -0.240
C 2.66311 1.61720 -2.00841 -0.461
F 2.25634 2.10222 -3.18662 0.118
F 2.31890 0.33398 -2.00123 0.115
C 4.22716 1.79783 -1.96529 -0.571
F 4.58458 2.76638 -2.80266 0.188
F 4.79883 0.67580 -2.37746 0.159
F 4.66306 2.12376 -0.74653 0.162
C -0.02092 -1.02819 1.97837 -0.330
C -0.81988 -0.24732 3.03943 -0.145
C -2.14047 -0.83474 3.56970 -0.083
C -3.24535 -1.15588 2.57157 -0.455
N -3.38889 -2.42914 1.93049 0.126
O -4.07263 -0.29089 2.33218 0.081
B 0.18271 -2.51231 2.67023 -0.550
O 0.51064 -2.50517 4.03809 0.116
N 0.05526 -3.80773 2.00108 -0.106
C -1.06275 -4.63969 2.50732 -0.067
C 1.29311 -4.61393 2.13989 -0.070
N -0.82183 -1.16014 0.75478 -0.420
Cl -0.05523 -1.97964 -0.55445 0.827
C -1.53259 0.00375 0.20353 -0.257
C -2.45653 -0.41158 -0.97779 -0.192
C -3.63510 0.59878 -1.05356 -0.269
N -4.92118 0.03831 -0.60325 0.006
H 5.84609 -1.26194 1.13635 0.030
H 5.13049 0.14377 1.88890 0.069
H 4.79029 -1.46274 2.54713 0.067
H 3.61889 -0.06338 0.11865 0.030
H 2.80167 -2.02905 2.21653 0.068
H 2.02954 -2.26404 0.67736 -0.004
H 2.84667 1.94022 1.18647 0.119
H -0.89430 2.53977 0.79044 0.097
H -2.13570 3.98744 2.24823 0.119
H 1.30362 4.88084 4.31405 0.113
H 2.63314 3.39010 2.98201 0.116
H -0.23353 -0.12249 3.94035 0.069
H -1.04494 0.77427 2.73253 0.109
H -2.00824 -1.67222 4.26187 0.120
H -2.56395 -0.05706 4.20130 0.124
H -2.65549 -2.56417 1.24349 0.060
H -3.42532 -3.18865 2.59452 0.071
H 1.47014 -2.49622 4.13517 0.092
H -0.76814 -5.66675 2.68962 0.085
H -1.54589 -4.18879 3.37626 0.078
H -1.82890 -4.69021 1.73098 0.076
H 2.19603 -4.00413 2.15426 0.063
H 1.36985 -5.24828 1.25836 0.097
H 1.30555 -5.20446 3.05685 0.089
H -2.19399 0.50657 0.90062 0.097
H -0.87343 0.75502 -0.23548 0.086
H -1.94271 -0.30162 -1.92451 0.087
H -2.87743 -1.40306 -0.82857 0.093
H -3.38008 1.53799 -0.55563 0.105
H -3.75482 0.86876 -2.10601 0.092
H -4.77005 -0.85654 -0.15776 0.036
H -5.30482 0.66430 0.08998 0.054
C 0.42271 1.47657 -5.44915 -0.065
C -0.32309 1.63864 -6.75528 -0.191
O -1.43461 0.72643 -6.83268 0.034
C -2.54336 1.10777 -6.21232 -0.401
O -2.69954 2.12380 -5.60511 0.174
C -3.64244 0.05597 -6.42291 -0.551
F -3.17508 -1.18519 -6.24651 0.165
F -4.13098 0.13505 -7.66832 0.166
F -4.64830 0.23777 -5.57562 0.176
H 0.72945 0.43834 -5.31241 0.088
H 1.30745 2.10964 -5.43503 0.075
H -0.20707 1.74436 -4.60068 0.079
H 0.32513 1.38992 -7.59324 0.125
H -0.66330 2.66341 -6.89891 0.127
```

***

The following is a quantum chemistry calculation of the molecule C25H35N3O3, from the Open Molecules 2025 dataset.

Results
LUMO = 0.024 Eh
Structure (SMILES) = CC(C)(C)CN1CCC(Oc2cccc(C(=O)NCCCOc3cccnc3)c2)CC1
DFT total energy = -37106.44034 eV
2S+1 = 1
Strongest force on any atom = 0.7 eV/Å
Energy above the lowest of the compared OMol25 structures with the same formula, charge and spin = 74.68 kJ/mol

XYZ file:
```
66
Properties=species:S:1:pos:R:3:nbo_charge:R:1
C 4.01753 -1.09626 -6.17173 -0.604
H 3.59626 -0.39450 -6.88858 0.205
H 5.09617 -0.95927 -6.15281 0.210
____________

Request:
Set down the lines earlier on up to the one that holds "***", that line included.

Reply:
The following is a quantum chemistry calculation of a cluster of 2 separate species, C25H37BBrClF8IN5O7S in total, from the Open Molecules 2025 dataset.

Results
LUMO = -0.014 Eh
Structure (SMILES) = C[C@@H](I)C[C@@](Br)(O[C@H](c1ccncc1)S(=O)(=O)C(F)(F)C(F)(F)F)[C@](CCC(N)=O)(B(O)N(C)C)N(Cl)CCCN.CCOC(=O)C(F)(F)F
DFT total energy = -172222.99162 eV
2S+1 = 1
Strongest force on any atom = 2.1 eV/Å

XYZ file:
```
87
Properties=species:S:1:pos:R:3:lowdin_charge:R:1
C 4.95355 -0.90124 1.63297 -0.179
C 3.73983 -0.97549 0.68174 -0.674
I 4.27747 -2.47473 -0.82708 0.887
C 2.44127 -1.50788 1.33480 -0.340
C 1.41836 -0.42827 1.75472 -0.584
Br 2.25501 0.25079 3.44874 0.980
O 1.31416 0.55491 0.73364 -0.128
C 1.79153 1.85689 0.92257 -0.331
C 0.96860 2.79239 1.76343 -0.237
C -0.36575 3.02333 1.59529 -0.036
C -1.07491 3.85884 2.41118 -0.107
N -0.49460 4.52499 3.39934 0.093
C 0.80491 4.32120 3.52925 -0.139
C 1.57824 3.48351 2.78518 -0.049
S 1.73691 2.63645 -0.76244 0.793
O 2.41622 3.88767 -0.66229 -0.240
O 0.40162 2.74929 -1.25662 -0.240
C 2.66311 1.61720 -2.00841 -0.461
F 2.25634 2.10222 -3.18662 0.118
F 2.31890 0.33398 -2.00123 0.115
C 4.22716 1.79783 -1.96529 -0.571
F 4.58458 2.76638 -2.80266 0.188
F 4.79883 0.67580 -2.37746 0.159
F 4.66306 2.12376 -0.74653 0.162
C -0.02092 -1.02819 1.97837 -0.330
C -0.81988 -0.24732 3.03943 -0.145
C -2.14047 -0.83474 3.56970 -0.083
C -3.24535 -1.15588 2.57157 -0.455
N -3.38889 -2.42914 1.93049 0.126
O -4.07263 -0.29089 2.33218 0.081
B 0.18271 -2.51231 2.67023 -0.550
O 0.51064 -2.50517 4.03809 0.116
N 0.05526 -3.80773 2.00108 -0.106
C -1.06275 -4.63969 2.50732 -0.067
C 1.29311 -4.61393 2.13989 -0.070
N -0.82183 -1.16014 0.75478 -0.420
Cl -0.05523 -1.97964 -0.55445 0.827
C -1.53259 0.00375 0.20353 -0.257
C -2.45653 -0.41158 -0.97779 -0.192
C -3.63510 0.59878 -1.05356 -0.269
N -4.92118 0.03831 -0.60325 0.006
H 5.84609 -1.26194 1.13635 0.030
H 5.13049 0.14377 1.88890 0.069
H 4.79029 -1.46274 2.54713 0.067
H 3.61889 -0.06338 0.11865 0.030
H 2.80167 -2.02905 2.21653 0.068
H 2.02954 -2.26404 0.67736 -0.004
H 2.84667 1.94022 1.18647 0.119
H -0.89430 2.53977 0.79044 0.097
H -2.13570 3.98744 2.24823 0.119
H 1.30362 4.88084 4.31405 0.113
H 2.63314 3.39010 2.98201 0.116
H -0.23353 -0.12249 3.94035 0.069
H -1.04494 0.77427 2.73253 0.109
H -2.00824 -1.67222 4.26187 0.120
H -2.56395 -0.05706 4.20130 0.124
H -2.65549 -2.56417 1.24349 0.060
H -3.42532 -3.18865 2.59452 0.071
H 1.47014 -2.49622 4.13517 0.092
H -0.76814 -5.66675 2.68962 0.085
H -1.54589 -4.18879 3.37626 0.078
H -1.82890 -4.69021 1.73098 0.076
H 2.19603 -4.00413 2.15426 0.063
H 1.36985 -5.24828 1.25836 0.097
H 1.30555 -5.20446 3.05685 0.089
H -2.19399 0.50657 0.90062 0.097
H -0.87343 0.75502 -0.23548 0.086
H -1.94271 -0.30162 -1.92451 0.087
H -2.87743 -1.40306 -0.82857 0.093
H -3.38008 1.53799 -0.55563 0.105
H -3.75482 0.86876 -2.10601 0.092
H -4.77005 -0.85654 -0.15776 0.036
H -5.30482 0.66430 0.08998 0.054
C 0.42271 1.47657 -5.44915 -0.065
C -0.32309 1.63864 -6.75528 -0.191
O -1.43461 0.72643 -6.83268 0.034
C -2.54336 1.10777 -6.21232 -0.401
O -2.69954 2.12380 -5.60511 0.174
C -3.64244 0.05597 -6.42291 -0.551
F -3.17508 -1.18519 -6.24651 0.165
F -4.13098 0.13505 -7.66832 0.166
F -4.64830 0.23777 -5.57562 0.176
H 0.72945 0.43834 -5.31241 0.088
H 1.30745 2.10964 -5.43503 0.075
H -0.20707 1.74436 -4.60068 0.079
H 0.32513 1.38992 -7.59324 0.125
H -0.66330 2.66341 -6.89891 0.127
```

***